_Input_
........
(1)
This entry pairs a crystal structure of TlV2I3O13 with its calculated powder diffraction line list. Radiation: CuKα. Structure: a crystal structure in the Materials Project, relaxed with PBE+U.

abc: 9.6714 9.6714 9.6714
angles: 87.28 114.14 129.67
Element x y z (fractional)
1 Tl 0.1089 0.2500 0.3589
2 Tl 0.8911 0.7500 0.6411
3 V 0.5132 0.1582 0.6124
4 V 0.5132 0.4008 0.8550
5 V 0.5458 0.6582 0.1450
6 V 0.5458 0.9008 0.3876
7 I 0.0023 0.2485 0.7353
8 I 0.0023 0.7670 0.2538
9 I 0.0597 0.5313 0.0284
10 I 0.5029 0.0313 0.9716
11 I 0.5132 0.2670 0.2647
12 I 0.5132 0.7485 0.7462
13 O 0.2331 0.8288 0.9043
14 O 0.2391 0.1090 0.1929
15 O 0.2391 0.5463 0.6301
16 O 0.2413 0.5121 0.0259
17 O 0.2413 0.7154 0.2293
18 O 0.2687 0.0576 0.5135
19 O 0.2687 0.2552 0.7110
20 O 0.4853 0.4853 0.0000
21 O 0.4853 0.9853 0.5000
22 O 0.4861 0.0121 0.7707
23 O 0.4861 0.2154 0.9741
24 O 0.5421 0.0976 0.2458
25 O 0.5421 0.7963 0.9445
26 O 0.5442 0.5576 0.2890
27 O 0.5442 0.7552 0.4865
28 O 0.5950 0.8605 0.2345
29 O 0.6160 0.3300 0.4876
30 O 0.6160 0.6284 0.7860
31 O 0.6260 0.3605 0.7655
32 O 0.8424 0.1284 0.5124
33 O 0.8424 0.8300 0.2140
34 O 0.8519 0.2963 0.7542
35 O 0.8519 0.5976 0.0555
36 O 0.9161 0.0463 0.8071
37 O 0.9161 0.6090 0.3699
38 O 0.9245 0.3288 0.0957

Most intense lines, 2θ = 10–80°, sorted by position:
2θ 18.66, intensity 36.8; 2θ 21.04, intensity 52.0; 2θ 24.09, intensity 61.6; 2θ 25.12, intensity 54.5; 2θ 25.45, intensity 42.6; 2θ 27.54, intensity 100.0; 2θ 29.00, intensity 51.8; 2θ 30.19, intensity 39.4; 2θ 30.69, intensity 44.6; 2θ 48.65, intensity 63.8

(2)
This entry pairs a crystal structure of WI3O with its calculated powder diffraction line list. Radiation: CuKα. Structure: a crystal structure in the Materials Project, relaxed with PBE+U.

abc: 13.9867 13.9867 3.8678
angles: 90.00 90.00 90.00
Element x y z (fractional)
1 W 0.1070 0.1070 0.0000
2 W 0.3930 0.6070 0.5000
3 W 0.6070 0.3930 0.5000
4 W 0.8930 0.8930 0.0000
5 I 0.0987 0.3007 0.0000
6 I 0.0992 0.9008 0.0000
7 I 0.1993 0.5987 0.5000
8 I 0.3007 0.0987 0.0000
9 I 0.4008 0.4008 0.5000
10 I 0.4013 0.8007 0.5000
11 I 0.5987 0.1993 0.5000
12 I 0.5992 0.5992 0.5000
13 I 0.6993 0.9013 0.0000
14 I 0.8007 0.4013 0.5000
15 I 0.9008 0.0992 0.0000
16 I 0.9013 0.6993 0.0000
17 O 0.1021 0.1021 0.5000
18 O 0.3979 0.6021 0.0000
19 O 0.6021 0.3979 0.0000
20 O 0.8979 0.8979 0.5000

Most intense lines, 2θ = 10–80°, sorted by position:
2θ 14.16, intensity 56.1; 2θ 23.87, intensity 100.0; 2θ 24.72, intensity 27.4; 2θ 25.47, intensity 57.8; 2θ 26.27, intensity 21.9; 2θ 32.65, intensity 54.0; 2θ 39.77, intensity 88.3; 2θ 45.88, intensity 36.8; 2θ 47.82, intensity 34.5; 2θ 67.76, intensity 20.8

(3)
This entry pairs a crystal structure of K5InMo4O16 with its calculated powder diffraction line list. Radiation: CuKα. Structure: a crystal structure in the Materials Project, relaxed with PBE+U.

abc: 9.6759 9.6759 10.7281
angles: 108.18 108.18 79.11
Element x y z (fractional)
1 K 0.1093 0.8907 0.7500
2 K 0.1177 0.3183 0.0626
3 K 0.1574 0.4242 0.4279
4 K 0.3183 0.1177 0.5626
5 K 0.4242 0.1574 0.9279
6 K 0.5758 0.8426 0.0721
7 K 0.6817 0.8823 0.4374
8 K 0.8426 0.5758 0.5721
9 K 0.8823 0.6817 0.9374
10 K 0.8907 0.1093 0.2500
11 In 0.3850 0.6150 0.2500
12 In 0.6150 0.3850 0.7500
13 Mo 0.0306 0.7623 0.3402
14 Mo 0.2377 0.9694 0.1598
15 Mo 0.2824 0.5442 0.8688
16 Mo 0.4558 0.7176 0.6312
17 Mo 0.5442 0.2824 0.3688
18 Mo 0.7176 0.4558 0.1312
19 Mo 0.7623 0.0306 0.8402
20 Mo 0.9694 0.2377 0.6598
21 O 0.0211 0.2893 0.5358
22 O 0.0730 0.8830 0.0784
23 O 0.0930 0.5621 0.7826
24 O 0.1170 0.9270 0.4216
........
_What to do_
Find the line further up that holds "0.9716", then transcribe that line and all lines after it there.
_Result_
10 I 0.5029 0.0313 0.9716
11 I 0.5132 0.2670 0.2647
12 I 0.5132 0.7485 0.7462
13 O 0.2331 0.8288 0.9043
14 O 0.2391 0.1090 0.1929
15 O 0.2391 0.5463 0.6301
16 O 0.2413 0.5121 0.0259
17 O 0.2413 0.7154 0.2293
18 O 0.2687 0.0576 0.5135
19 O 0.2687 0.2552 0.7110
20 O 0.4853 0.4853 0.0000
21 O 0.4853 0.9853 0.5000
22 O 0.4861 0.0121 0.7707
23 O 0.4861 0.2154 0.9741
24 O 0.5421 0.0976 0.2458
25 O 0.5421 0.7963 0.9445
26 O 0.5442 0.5576 0.2890
27 O 0.5442 0.7552 0.4865
28 O 0.5950 0.8605 0.2345
29 O 0.6160 0.3300 0.4876
30 O 0.6160 0.6284 0.7860
31 O 0.6260 0.3605 0.7655
32 O 0.8424 0.1284 0.5124
33 O 0.8424 0.8300 0.2140
34 O 0.8519 0.2963 0.7542
35 O 0.8519 0.5976 0.0555
36 O 0.9161 0.0463 0.8071
37 O 0.9161 0.6090 0.3699
38 O 0.9245 0.3288 0.0957

Most intense lines, 2θ = 10–80°, sorted by position:
2θ 18.66, intensity 36.8; 2θ 21.04, intensity 52.0; 2θ 24.09, intensity 61.6; 2θ 25.12, intensity 54.5; 2θ 25.45, intensity 42.6; 2θ 27.54, intensity 100.0; 2θ 29.00, intensity 51.8; 2θ 30.19, intensity 39.4; 2θ 30.69, intensity 44.6; 2θ 48.65, intensity 63.8

(2)
This entry pairs a crystal structure of WI3O with its calculated powder diffraction line list. Radiation: CuKα. Structure: a crystal structure in the Materials Project, relaxed with PBE+U.

abc: 13.9867 13.9867 3.8678
angles: 90.00 90.00 90.00
Element x y z (fractional)
1 W 0.1070 0.1070 0.0000
2 W 0.3930 0.6070 0.5000
3 W 0.6070 0.3930 0.5000
4 W 0.8930 0.8930 0.0000
5 I 0.0987 0.3007 0.0000
6 I 0.0992 0.9008 0.0000
7 I 0.1993 0.5987 0.5000
8 I 0.3007 0.0987 0.0000
9 I 0.4008 0.4008 0.5000
10 I 0.4013 0.8007 0.5000
11 I 0.5987 0.1993 0.5000
12 I 0.5992 0.5992 0.5000
13 I 0.6993 0.9013 0.0000
14 I 0.8007 0.4013 0.5000
15 I 0.9008 0.0992 0.0000
16 I 0.9013 0.6993 0.0000
17 O 0.1021 0.1021 0.5000
18 O 0.3979 0.6021 0.0000
19 O 0.6021 0.3979 0.0000
20 O 0.8979 0.8979 0.5000

Most intense lines, 2θ = 10–80°, sorted by position:
2θ 14.16, intensity 56.1; 2θ 23.87, intensity 100.0; 2θ 24.72, intensity 27.4; 2θ 25.47, intensity 57.8; 2θ 26.27, intensity 21.9; 2θ 32.65, intensity 54.0; 2θ 39.77, intensity 88.3; 2θ 45.88, intensity 36.8; 2θ 47.82, intensity 34.5; 2θ 67.76, intensity 20.8

(3)
This entry pairs a crystal structure of K5InMo4O16 with its calculated powder diffraction line list. Radiation: CuKα. Structure: a crystal structure in the Materials Project, relaxed with PBE+U.

abc: 9.6759 9.6759 10.7281
angles: 108.18 108.18 79.11
Element x y z (fractional)
1 K 0.1093 0.8907 0.7500
2 K 0.1177 0.3183 0.0626
3 K 0.1574 0.4242 0.4279
4 K 0.3183 0.1177 0.5626
5 K 0.4242 0.1574 0.9279
6 K 0.5758 0.8426 0.0721
7 K 0.6817 0.8823 0.4374
8 K 0.8426 0.5758 0.5721
9 K 0.8823 0.6817 0.9374
10 K 0.8907 0.1093 0.2500
11 In 0.3850 0.6150 0.2500
12 In 0.6150 0.3850 0.7500
13 Mo 0.0306 0.7623 0.3402
14 Mo 0.2377 0.9694 0.1598
15 Mo 0.2824 0.5442 0.8688
16 Mo 0.4558 0.7176 0.6312
17 Mo 0.5442 0.2824 0.3688
18 Mo 0.7176 0.4558 0.1312
19 Mo 0.7623 0.0306 0.8402
20 Mo 0.9694 0.2377 0.6598
21 O 0.0211 0.2893 0.5358
22 O 0.0730 0.8830 0.0784
23 O 0.0930 0.5621 0.7826
24 O 0.1170 0.9270 0.4216